┌──
[1]
Structure and theoretical PXRD pattern of Ag13As2 (a crystal structure in Alexandria, relaxed with GGA-PBE; Cu Kα, 1.54184 Å).
Peak positions follow from Bragg's law for the DFT cell and can differ from measured ones.

Largest 8 diffraction maxima, sorted by position, 2θ = 15–90°:
37.31°, d = 2.410 Å, intensity 100; 37.42°, d = 2.403 Å, intensity 100; 43.14°, d = 2.097 Å, intensity 33; 43.29°, d = 2.090 Å, intensity 32; 43.82°, d = 2.066 Å, intensity 31; 63.17°, d = 1.472 Å, intensity 20; 75.40°, d = 1.261 Å, intensity 17; 76.28°, d = 1.248 Å, intensity 17

Structure:
Cell: 6.5467 6.6028 7.2226 Å, 68.54 69.32 84.32°
Element x y z (fractional)
Ag (0.0000, 0.0000, 0.0000)
Ag (0.0670, 0.7347, 0.3992)
Ag (0.1990, 0.2026, 0.1978)
Ag (0.2672, 0.9371, 0.5930)
Ag (0.3287, 0.6660, 0.9960)
Ag (0.4032, 0.4006, 0.3960)
Ag (0.4676, 0.1288, 0.8034)
Ag (0.5324, 0.8712, 0.1966)
Ag (0.5968, 0.5994, 0.6040)
Ag (0.6713, 0.3340, 0.0040)
Ag (0.7328, 0.0629, 0.4070)
Ag (0.8010, 0.7974, 0.8022)
Ag (0.9330, 0.2653, 0.6008)
As (0.1438, 0.4568, 0.7860)
As (0.8562, 0.5432, 0.2140)

[2]
Structure and theoretical PXRD pattern of Ag4As (a crystal structure in Alexandria, relaxed with GGA-PBE; Cu Kα, 1.54184 Å).
Peak positions follow from Bragg's law for the DFT cell and can differ from measured ones.

Largest 8 diffraction maxima, sorted by position, 2θ = 15–90°:
37.31°, d = 2.410 Å, intensity 100; 42.78°, d = 2.114 Å, intensity 17; 43.63°, d = 2.074 Å, intensity 31; 62.76°, d = 1.480 Å, intensity 20; 63.42°, d = 1.467 Å, intensity 10; 74.74°, d = 1.270 Å, intensity 12; 75.94°, d = 1.253 Å, intensity 23; 79.55°, d = 1.205 Å, intensity 10

Structure:
Cell: 6.5596 6.5596 4.2272 Å, 90.00 90.00 90.00°
Element x y z (fractional)
Ag (0.1049, 0.6970, 0.0000)
Ag (0.1970, 0.3951, 0.5000)
Ag (0.3030, 0.1049, 0.0000)
Ag (0.3951, 0.8030, 0.5000)
Ag (0.6049, 0.1970, 0.5000)
Ag (0.6970, 0.8951, 0.0000)
Ag (0.8030, 0.6049, 0.5000)
Ag (0.8951, 0.3030, 0.0000)
As (0.0000, 0.0000, 0.5000)
As (0.5000, 0.5000, 0.0000)

[3]
Structure and theoretical PXRD pattern of Ag5As3 (a crystal structure in Alexandria, relaxed with GGA-PBE; Cu Kα, 1.54184 Å).
Peak positions follow from Bragg's law for the DFT cell and can differ from measured ones.

Largest 8 diffraction maxima, sorted by position, 2θ = 15–90°:
37.07°, d = 2.425 Å, intensity 100; 42.55°, d = 2.125 Å, intensity 34; 44.10°, d = 2.053 Å, intensity 15; 61.75°, d = 1.502 Å, intensity 11; 62.95°, d = 1.476 Å, intensity 20; 74.19°, d = 1.278 Å, intensity 12; 74.33°, d = 1.276 Å, intensity 12; 76.47°, d = 1.246 Å, intensity 11

Structure:
Cell: 8.2133 8.4891 4.2540 Å, 90.00 90.00 90.00°
Element x y z (fractional)
Ag (0.0000, 0.0000, 0.0000)
Ag (0.0000, 0.2530, 0.5000)
Ag (0.0000, 0.7470, 0.5000)
Ag (0.2500, 0.2500, 0.0000)
Ag (0.2500, 0.7500, 0.0000)
Ag (0.5000, 0.2470, 0.5000)
Ag (0.5000, 0.5000, 0.0000)
Ag (0.5000, 0.7530, 0.5000)
Ag (0.7500, 0.2500, 0.0000)
Ag (0.7500, 0.7500, 0.0000)
As (0.0000, 0.5000, 0.0000)
As (0.2402, 0.0000, 0.5000)
As (0.2598, 0.5000, 0.5000)
As (0.5000, 0.0000, 0.0000)
As (0.7402, 0.5000, 0.5000)
As (0.7598, 0.0000, 0.5000)

[4]
Structure and theoretical PXRD pattern of AgGeAs2Au (a crystal structure in Alexandria, relaxed with GGA-PBE; Cu Kα, 1.54184 Å).
Peak positions follow from Bragg's law for the DFT cell and can differ from measured ones.

Largest 8 diffraction maxima, sorted by position, 2θ = 15–90°:
17.27°, d = 5.135 Å, intensity 48; 24.52°, d = 3.631 Å, intensity 45; 25.05°, d = 3.555 Å, intensity 88; 34.95°, d = 2.568 Å, intensity 100; 36.47°, d = 2.464 Å, intensity 45; 43.48°, d = 2.082 Å, intensity 41; 50.25°, d = 1.816 Å, intensity 35; 51.40°, d = 1.778 Å, intensity 66

Structure:
Cell: 5.1351 5.1351 4.9274 Å, 90.00 90.00 90.00°
Element x y z (fractional)
Ag (0.0000, 0.0000, 0.0000)
Ge (0.5000, 0.5000, 0.0000)
As (0.0000, 0.5000, 0.5000)
As (0.5000, 0.0000, 0.5000)
Au (0.5000, 0.5000, 0.5000)

[5]
└──

Write out the whole of the data above word for word.

[1]
Structure and theoretical PXRD pattern of Ag13As2 (a crystal structure in Alexandria, relaxed with GGA-PBE; Cu Kα, 1.54184 Å).
Peak positions follow from Bragg's law for the DFT cell and can differ from measured ones.

Largest 8 diffraction maxima, sorted by position, 2θ = 15–90°:
37.31°, d = 2.410 Å, intensity 100; 37.42°, d = 2.403 Å, intensity 100; 43.14°, d = 2.097 Å, intensity 33; 43.29°, d = 2.090 Å, intensity 32; 43.82°, d = 2.066 Å, intensity 31; 63.17°, d = 1.472 Å, intensity 20; 75.40°, d = 1.261 Å, intensity 17; 76.28°, d = 1.248 Å, intensity 17

Structure:
Cell: 6.5467 6.6028 7.2226 Å, 68.54 69.32 84.32°
Element x y z (fractional)
Ag (0.0000, 0.0000, 0.0000)
Ag (0.0670, 0.7347, 0.3992)
Ag (0.1990, 0.2026, 0.1978)
Ag (0.2672, 0.9371, 0.5930)
Ag (0.3287, 0.6660, 0.9960)
Ag (0.4032, 0.4006, 0.3960)
Ag (0.4676, 0.1288, 0.8034)
Ag (0.5324, 0.8712, 0.1966)
Ag (0.5968, 0.5994, 0.6040)
Ag (0.6713, 0.3340, 0.0040)
Ag (0.7328, 0.0629, 0.4070)
Ag (0.8010, 0.7974, 0.8022)
Ag (0.9330, 0.2653, 0.6008)
As (0.1438, 0.4568, 0.7860)
As (0.8562, 0.5432, 0.2140)

[2]
Structure and theoretical PXRD pattern of Ag4As (a crystal structure in Alexandria, relaxed with GGA-PBE; Cu Kα, 1.54184 Å).
Peak positions follow from Bragg's law for the DFT cell and can differ from measured ones.

Largest 8 diffraction maxima, sorted by position, 2θ = 15–90°:
37.31°, d = 2.410 Å, intensity 100; 42.78°, d = 2.114 Å, intensity 17; 43.63°, d = 2.074 Å, intensity 31; 62.76°, d = 1.480 Å, intensity 20; 63.42°, d = 1.467 Å, intensity 10; 74.74°, d = 1.270 Å, intensity 12; 75.94°, d = 1.253 Å, intensity 23; 79.55°, d = 1.205 Å, intensity 10

Structure:
Cell: 6.5596 6.5596 4.2272 Å, 90.00 90.00 90.00°
Element x y z (fractional)
Ag (0.1049, 0.6970, 0.0000)
Ag (0.1970, 0.3951, 0.5000)
Ag (0.3030, 0.1049, 0.0000)
Ag (0.3951, 0.8030, 0.5000)
Ag (0.6049, 0.1970, 0.5000)
Ag (0.6970, 0.8951, 0.0000)
Ag (0.8030, 0.6049, 0.5000)
Ag (0.8951, 0.3030, 0.0000)
As (0.0000, 0.0000, 0.5000)
As (0.5000, 0.5000, 0.0000)

[3]
Structure and theoretical PXRD pattern of Ag5As3 (a crystal structure in Alexandria, relaxed with GGA-PBE; Cu Kα, 1.54184 Å).
Peak positions follow from Bragg's law for the DFT cell and can differ from measured ones.

Largest 8 diffraction maxima, sorted by position, 2θ = 15–90°:
37.07°, d = 2.425 Å, intensity 100; 42.55°, d = 2.125 Å, intensity 34; 44.10°, d = 2.053 Å, intensity 15; 61.75°, d = 1.502 Å, intensity 11; 62.95°, d = 1.476 Å, intensity 20; 74.19°, d = 1.278 Å, intensity 12; 74.33°, d = 1.276 Å, intensity 12; 76.47°, d = 1.246 Å, intensity 11

Structure:
Cell: 8.2133 8.4891 4.2540 Å, 90.00 90.00 90.00°
Element x y z (fractional)
Ag (0.0000, 0.0000, 0.0000)
Ag (0.0000, 0.2530, 0.5000)
Ag (0.0000, 0.7470, 0.5000)
Ag (0.2500, 0.2500, 0.0000)
Ag (0.2500, 0.7500, 0.0000)
Ag (0.5000, 0.2470, 0.5000)
Ag (0.5000, 0.5000, 0.0000)
Ag (0.5000, 0.7530, 0.5000)
Ag (0.7500, 0.2500, 0.0000)
Ag (0.7500, 0.7500, 0.0000)
As (0.0000, 0.5000, 0.0000)
As (0.2402, 0.0000, 0.5000)
As (0.2598, 0.5000, 0.5000)
As (0.5000, 0.0000, 0.0000)
As (0.7402, 0.5000, 0.5000)
As (0.7598, 0.0000, 0.5000)

[4]
Structure and theoretical PXRD pattern of AgGeAs2Au (a crystal structure in Alexandria, relaxed with GGA-PBE; Cu Kα, 1.54184 Å).
Peak positions follow from Bragg's law for the DFT cell and can differ from measured ones.

Largest 8 diffraction maxima, sorted by position, 2θ = 15–90°:
17.27°, d = 5.135 Å, intensity 48; 24.52°, d = 3.631 Å, intensity 45; 25.05°, d = 3.555 Å, intensity 88; 34.95°, d = 2.568 Å, intensity 100; 36.47°, d = 2.464 Å, intensity 45; 43.48°, d = 2.082 Å, intensity 41; 50.25°, d = 1.816 Å, intensity 35; 51.40°, d = 1.778 Å, intensity 66

Structure:
Cell: 5.1351 5.1351 4.9274 Å, 90.00 90.00 90.00°
Element x y z (fractional)
Ag (0.0000, 0.0000, 0.0000)
Ge (0.5000, 0.5000, 0.0000)
As (0.0000, 0.5000, 0.5000)
As (0.5000, 0.0000, 0.5000)
Au (0.5000, 0.5000, 0.5000)

[5]